Listing =
<<<
Calculated powder X-ray diffraction pattern of Li15Al for λ = 1.5418 Å (Cu Kα), from a cell relaxed with PBE.

Cell and atoms:
Unit cell a=5.9651 b=5.9651 c=9.8841 alpha=90.00 beta=90.00 gamma=120.00
Fractional coordinates of all 16 atoms:
Li 0.0000 0.0000 0.0000
Li 0.0003 0.5002 0.5000
Li 0.3257 0.1628 0.2575
Li 0.3257 0.1628 0.7425
Li 0.3333 0.6667 0.2449
Li 0.3333 0.6667 0.7551
Li 0.4998 0.9997 0.5000
Li 0.4998 0.5002 0.5000
Li 0.5021 0.0043 0.0000
Li 0.5021 0.4979 0.0000
Li 0.8372 0.1628 0.2575
Li 0.8372 0.1628 0.7425
Li 0.8372 0.6743 0.2575
Li 0.8372 0.6743 0.7425
Li 0.9957 0.4979 0.0000
Al 0.0000 0.0000 0.5000

Largest 10 diffraction maxima, sorted by position, 2θ = 10–90°:
| 2θ (°) | I/Imax | (hkl) |
| --- | --- | --- |
| 17.2 | 29 | 1 0 0 |
| 19.4 | 42 | 1 0 1 |
| 24.9 | 19 | 1 0 2 |
| 34.7 | 27 | 2 0 0 |
| 36.4 | 27 | 0 0 4 |
| 39.4 | 100 | 2 0 2 |
| 51.2 | 17 | 2 0 4 |
| 62.3 | 17 | 2 2 0 |
| 67.4 | 22 | 2 0 6 |
| 74.3 | 20 | 2 2 4 |

~~~~~

Structure and computed powder diffraction line list of Mg6CrMo (DFT lattice parameters and positions (PBE); Cu Kα (λ = 1.5418 Å)).
No peak broadening, texture or thermal motion is included.

Atomic structure:
```
data_Mg6CrMo
_chemical_formula_sum 'Mg12 Cr2 Mo2'
_symmetry_space_group_name_H-M 'A m m 2'
_symmetry_Int_Tables_number 38
_cell_length_a 4.7589
_cell_length_b 5.9581
_cell_length_c 11.0037
_cell_angle_alpha 90.00
_cell_angle_beta 90.00
_cell_angle_gamma 90.00
loop_
_symmetry_equiv_pos_as_xyz
'x,y,z'
'-x,-y,z'
'-x,y,z'
'x,-y,z'
'x,y+1/2,z+1/2'
'-x,-y+1/2,z+1/2'
'-x,y+1/2,z+1/2'
'x,-y+1/2,z+1/2'
loop_
_atom_site_label
_atom_site_type_symbol
_atom_site_fract_x
_atom_site_fract_y
_atom_site_fract_z
Mg1 Mg 0.0000 0.0000 0.0000
Mg2 Mg 0.0000 0.2391 0.2517
Mg3 Mg 0.5000 0.0000 0.8443
Mg4 Mg 0.5000 0.2447 0.5967
Cr1 Cr 0.0000 0.0000 0.4778
Mo1 Mo 0.5000 0.0000 0.3673
```

Peak list (10 most intense, 10° ≤ 2θ ≤ 90°, most intense first)
| two_theta | d/Å | I_rel |
| --- | --- | --- |
| 37.79 | 2.381 | 100 |
| 39.26 | 2.295 | 70 |
| 16.92 | 5.239 | 59 |
| 34.23 | 2.620 | 42 |
| 16.11 | 5.502 | 28 |
| 51.91 | 1.761 | 24 |
| 75.25 | 1.263 | 23 |
| 48.05 | 1.894 | 15 |
| 34.34 | 2.611 | 14 |
| 69.24 | 1.357 | 12 |

=====

Structure and computed powder diffraction line list of Mg6CrMo (DFT lattice parameters and positions (PBE); Cu Kα (λ = 1.5418 Å)).
No peak broadening, texture or thermal motion is included.

Atomic structure:
```
data_Mg6CrMo
_chemical_formula_sum 'Mg12 Cr2 Mo2'
_symmetry_space_group_name_H-M 'A m m 2'
_symmetry_Int_Tables_number 38
_cell_length_a 4.9139
_cell_length_b 5.8673
_cell_length_c 10.8869
_cell_angle_alpha 90.00
_cell_angle_beta 90.00
_cell_angle_gamma 90.00
loop_
_symmetry_equiv_pos_as_xyz
'x,y,z'
'-x,-y,z'
'-x,y,z'
'x,-y,z'
'x,y+1/2,z+1/2'
'-x,-y+1/2,z+1/2'
'-x,y+1/2,z+1/2'
'x,-y+1/2,z+1/2'
loop_
_atom_site_label
_atom_site_type_symbol
_atom_site_fract_x
_atom_site_fract_y
_atom_site_fract_z
Mg1 Mg 0.0000 0.0000 0.0000
Mg2 Mg 0.0000 0.0000 0.4976
Mg3 Mg 0.0000 0.2435 0.7631
Mg4 Mg 0.5000 0.2500 0.1017
Cr1 Cr 0.5000 0.0000 0.3482
Mo1 Mo 0.5000 0.0000 0.8534
```

Peak list (10 most intense, 10° ≤ 2θ ≤ 90°, most intense first)
| two_theta | d/Å | I_rel |
| --- | --- | --- |
| 39.42 | 2.286 | 100 |
| 37.78 | 2.381 | 69 |
| 36.57 | 2.457 | 44 |
| 16.28 | 5.443 | 42 |
| 34.74 | 2.582 | 40 |
| 18.05 | 4.914 | 28 |
| 51.33 | 1.780 | 25 |
| 24.40 | 3.648 | 23 |
| 72.30 | 1.307 | 20 |
| 67.74 | 1.383 | 19 |

=====

Structure and computed powder diffraction line list of Mg2Cr3MoS8 (DFT lattice parameters and positions (PBE); Cu Kα (λ = 1.5418 Å)).
No peak broadening, texture or thermal motion is included.

Atomic structure:
```
data_Mg2Cr3MoS8
_chemical_formula_sum 'Mg6 Cr9 Mo3 S24'
_symmetry_space_group_name_H-M 'R -3 m'
_symmetry_Int_Tables_number 166
_symmetry_space_group_name_Hall '-R 3 2"'
_cell_length_a 7.2497
_cell_length_b 7.2497
_cell_length_c 17.9517
_cell_angle_alpha 90.00
_cell_angle_beta 90.00
_cell_angle_gamma 120.00
loop_
_atom_site_label
>>>

Wanted =
What is needed: search the listing further above for the word "gamma" and write out each line that has it.

Here it is =
Unit cell a=5.9651 b=5.9651 c=9.8841 alpha=90.00 beta=90.00 gamma=120.00